Excerpt:
First-principles (PBE) data for a relaxed structure of V4Ni5Rh, as listed in Alexandria.

Output
- space group = Pmmn
- total magnetization (μB/cell) = 0.0
- E (eV/atom) = -7.317

Cell lengths 7.4629, 8.2957, 4.1618 Å; angles 90.00, 90.00, 90.00 degrees
Last column: nearest neighbours and their distance in Å.
Element x y z (fractional)
V  0.0488  0.2500  0.0774  5 Ni 2.33-2.58, 1 Rh 2.45
V  0.2500  0.5437  0.2408  7 Ni 2.47-2.68, 1 Rh 2.50
V  0.2500  0.9563  0.2408  7 Ni 2.47-2.68, 1 Rh 2.50
V  0.4512  0.2500  0.0774  5 Ni 2.33-2.58, 1 Rh 2.45
V  0.5488  0.7500  0.9226  5 Ni 2.33-2.58, 1 Rh 2.45
V  0.7500  0.0437  0.7592  7 Ni 2.47-2.68, 1 Rh 2.50
V  0.7500  0.4563  0.7592  7 Ni 2.47-2.68, 1 Rh 2.50
V  0.9512  0.7500  0.9226  5 Ni 2.33-2.58, 1 Rh 2.45
Ni  0.0826  0.0237  0.7466  5 V 2.34-2.58, 4 Ni 2.43-2.50, 1 Rh 2.61
Ni  0.0826  0.4763  0.7466  5 V 2.34-2.58, 4 Ni 2.43-2.50, 1 Rh 2.61
Ni  0.2500  0.2500  0.5061  2 V 2.33, 4 Ni 2.47
Ni  0.4174  0.0237  0.7466  5 V 2.34-2.58, 4 Ni 2.43-2.50, 1 Rh 2.61
Ni  0.4174  0.4763  0.7466  5 V 2.34-2.58, 4 Ni 2.43-2.50, 1 Rh 2.61
Ni  0.5826  0.5237  0.2534  5 V 2.34-2.58, 4 Ni 2.43-2.50, 1 Rh 2.61
Ni  0.5826  0.9763  0.2534  5 V 2.34-2.58, 4 Ni 2.43-2.50, 1 Rh 2.61
Ni  0.7500  0.7500  0.4939  2 V 2.33, 4 Ni 2.47
Ni  0.9174  0.5237  0.2534  5 V 2.34-2.58, 4 Ni 2.43-2.50, 1 Rh 2.61
Ni  0.9174  0.9763  0.2534  5 V 2.34-2.58, 4 Ni 2.43-2.50, 1 Rh 2.61
Rh  0.2500  0.7500  0.6796  4 V 2.45-2.50, 4 Ni 2.61
Rh  0.7500  0.2500  0.3204  4 V 2.45-2.50, 4 Ni 2.61

---

First-principles (PBE) data for a relaxed structure of SiIrC2, as listed in Alexandria.

Output
- space group = I-42d
- total magnetization (μB/cell) = 0.0
- energy relative to the elements, uncorrected (eV per atom) = 0.47
- E (eV/atom) = -7.715

Cell lengths 5.4256, 5.4256, 5.4256 Å; angles 129.59, 129.59, 74.06 degrees
Last column: nearest neighbours and their distance in Å.
Element x y z (fractional)
Si  0.0000  0.0000  0.0000  4 C 1.89
Si  0.7500  0.2500  0.5000  4 C 1.89
Ir  0.2500  0.7500  0.5000  4 C 2.03
Ir  0.5000  0.5000  0.0000  4 C 2.03
C  0.1001  0.6250  0.9751  2 Si 1.89, 2 Ir 2.03
C  0.3750  0.3501  0.4751  2 Si 1.89, 2 Ir 2.03
C  0.6499  0.1250  0.0249  2 Si 1.89, 2 Ir 2.03
C  0.8750  0.8999  0.5249  2 Si 1.89, 2 Ir 2.03

---

First-principles (PBE) data for a relaxed structure of Pm5NpSe6, as listed in Alexandria.

Output
- space group = C2/m
- total magnetization (μB/cell) = 4.6
- energy relative to the elements, uncorrected (eV per atom) = -1.71
- E (eV/atom) = -6.508

Cell lengths 7.2370, 7.2370, 7.2591 Å; angles 99.58, 99.58, 120.03 degrees
Last column: nearest neighbours and their distance in Å.
Element x y z (fractional)
Pm  0.0000  0.0000  0.0000  6 Se 2.95-2.99
Pm  0.1677  0.8323  0.5000  6 Se 2.95-2.98
Pm  0.3286  0.6714  0.0000  6 Se 2.96-2.99
Pm  0.6714  0.3286  0.0000  6 Se 2.96-2.99
Pm  0.8323  0.1677  0.5000  6 Se 2.95-2.98
Np  0.5000  0.5000  0.5000  6 Se 2.91-2.93
Se  0.0895  0.4173  0.2532  1 Np 2.91, 5 Pm 2.95-2.96
Se  0.2546  0.2546  0.7498  1 Np 2.93, 5 Pm 2.98-2.99
Se  0.4173  0.0895  0.2532  1 Np 2.91, 5 Pm 2.95-2.96
Se  0.5827  0.9105  0.7468  1 Np 2.91, 5 Pm 2.95-2.96
Se  0.7454  0.7454  0.2502  1 Np 2.93, 5 Pm 2.98-2.99
Se  0.9105  0.5827  0.7468  1 Np 2.91, 5 Pm 2.95-2.96

---

First-principles (PBE) data for a relaxed structure of La9Pr2Th, as listed in Alexandria.

Output
- space group = P4/mmm
- total magnetization (μB/cell) = 0.0
- E (eV/atom) = -5.098

Cell lengths 5.2286, 5.2286, 15.7249 Å; angles 90.00, 90.00, 90.00 degrees
Last column: nearest neighbours and their distance in Å.
Element x y z (fractional)
La  0.0000  0.0000  0.0000  8 La 3.63, 4 Th 3.70
La  0.0000  0.0000  0.3342  8 La 3.69-3.78, 4 Pr 3.70
La  0.0000  0.0000  0.6658  8 La 3.69-3.78, 4 Pr 3.70
La  0.0000  0.5000  0.1603  8 La 3.63-3.78, 2 Th 3.63, 2 Pr 3.78
La  0.0000  0.5000  0.5000  8 La 3.69-3.70, 4 Pr 3.70
La  0.0000  0.5000  0.8397  8 La 3.63-3.78, 2 Th 3.63, 2 Pr 3.78

Activity:
Filter the notes above: keep the lines with the word "nearest".

Reply:
Last column: nearest neighbours and their distance in Å.
Last column: nearest neighbours and their distance in Å.
Last column: nearest neighbours and their distance in Å.
Last column: nearest neighbours and their distance in Å.